
Trains of Winnipeg  |  Links + Info.




Clive's Collaborators

Contributors to TRAINS OF WINNIPEG - 14 FILM POEMS included: drummer/composer Jason Tait, cellist/artist Emily Goodden, audio artist/Send + Receive – a Festival of Sound founder Steve Bates, and singer/songwriter Christine Fellows; the film 'Burning Down the Suburbs' features sculptures by the Toronto artist Shary Boyle; other crucial assistance has come from experimental film-maker Sol Nagler, as well as film-maker and writer Caelum Vatnsdal.

Jon Paul Fiorentino was editor of TRAINS OF WINNIPEG, the book.

TRAINS OF WINNIPEG, the audio CD, was made in equal collaboration with John K. Samson, Jason, and Christine.

The idea for the whole project was put into motion by a conversation with John at some point in the late twentieth century.


Trains of Winnipeg Project Links + Related Info.

Please send suggestions for more 'Trains of Winnipeg' links: especially train art sites, sites about the politics of trains, good buff sites, or pictures of the beautiful, rotting industrial landscape

### Calculated molecules, kept here for reference
Entry from the Open Molecules 2025 dataset: a molecular structure, C25H19Cl2N4ORhS (the ωB97M-V functional and the def2-TZVPD basis).

Calculated values
**Gap between HOMO and LUMO**: 6.648 eV
**Energy above the lowest of the compared OMol25 structures with the same formula, charge and spin**: 0.000 eV
**Energy**: -73130.21399 eV
**HOMO level**: -7.496 eV

The geometry in ORCA input format:
```
! wB97M-V def2-TZVPD RIJCOSX def2/J DEFGRID3
* xyz 0 1
Rh 0.397 0.876 0.443
N 0.529 3.381 3.668
C 0.668 2.856 2.448
O -0.280 2.238 1.925
C 1.946 3.019 1.692
C 2.196 1.765 0.847
H -0.344 3.264 4.157
H 1.281 3.877 4.109
H 2.772 3.293 2.354
H 1.772 3.875 1.032
H 2.738 1.006 1.426
H 2.806 2.030 -0.016
N -2.175 -8.964 -1.187
C -1.908 -7.857 -1.040
C -1.575 -6.468 -0.854
C -0.540 -6.114 0.007
C -0.226 -4.778 0.184
C -0.944 -3.789 -0.482
C -1.976 -4.153 -1.342
C -2.292 -5.487 -1.534
C -0.614 -2.351 -0.267
C -1.605 -1.560 0.297
C -2.905 -1.948 0.739
C -3.513 -0.817 1.220
C -2.567 0.230 1.077
N -1.443 -0.202 0.536
C 0.659 -1.936 -0.684
C 1.583 -2.710 -1.431
C 2.645 -1.894 -1.750
C 2.354 -0.638 -1.193
N 1.188 -0.653 -0.552
H 0.012 -6.883 0.529
H 0.579 -4.494 0.850
H -2.523 -3.385 -1.873
H -3.087 -5.772 -2.209
H -3.318 -2.943 0.702
H -4.506 -0.728 1.630
H -2.671 1.265 1.364
H 1.446 -3.740 -1.716
H 3.524 -2.147 -2.320
H 2.932 0.270 -1.252
Cl 3.016 3.564 -2.206
C 1.645 4.348 -1.482
C 1.783 5.695 -1.186
C 0.724 6.380 -0.616
C -0.473 5.727 -0.378
C -0.594 4.382 -0.692
Cl -2.152 3.662 -0.458
C 0.471 3.630 -1.213
S 0.347 1.905 -1.551
H 2.717 6.192 -1.406
H 0.825 7.431 -0.378
H -1.325 6.252 0.030
*
```

These are the Mulliken partial charges, in e, on atoms 1 to 4: 0.2047, -0.3798, 0.4545, -0.4499


Entry from the Open Molecules 2025 dataset: a molecular structure, C25H19CoN3O3 in a non-equilibrium geometry (the ωB97M-V functional and the def2-TZVPD basis).

Calculated values
**Gap between HOMO and LUMO (spin up / spin down)**: 6.777 / 6.671 eV
**Energy**: -74472.08035 eV
**HOMO level (spin up / spin down)**: -7.757 / -7.740 eV

The geometry in ORCA input format:
```
! wB97M-V def2-TZVPD RIJCOSX def2/J DEFGRID3
* xyz 0 4
Co -7.889 10.358 12.329
C -5.075 13.090 17.980
O -5.526 14.109 17.127
C -5.975 13.822 15.879
C -6.378 14.927 15.032
C -6.965 14.744 13.781
C -7.115 13.414 13.235
C -7.650 13.238 11.930
C -8.030 14.475 11.118
O -7.857 12.126 11.359
C -6.814 12.315 14.130
O -6.933 11.049 13.897
C -6.189 12.573 15.374
H -4.945 13.690 18.913
H -4.161 12.590 17.651
H -5.897 12.402 18.124
H -6.064 15.923 15.298
H -7.222 15.645 13.298
H -8.591 14.033 10.154
H -7.221 15.080 10.699
H -8.688 15.194 11.571
H -5.796 11.691 15.937
N -12.639 2.805 7.363
C -12.073 3.695 7.858
C -11.476 4.625 8.701
C -10.437 4.267 9.505
C -9.838 5.258 10.267
C -10.272 6.559 10.311
C -11.395 6.933 9.554
C -11.985 5.950 8.762
C -9.531 7.698 11.059
C -8.167 7.872 10.759
C -7.421 7.127 9.790
C -6.174 7.711 9.730
C -6.202 8.772 10.694
N -7.396 8.865 11.265
C -10.251 8.426 11.984
C -11.652 8.320 12.441

. Clive Holden's FURY

. Cyclops Review 02  Jon Paul Fiorentino + Clive Holden, editors

. Holden bio

. Al Purdy Transience, mp3 audio, riding the rails in the thirties

. Cow Portraits by Les the project's film + poem Bus North to Thompson with Les at the Wheel features Winnipeg's Les Brandt, who recently received his Millionth Safe Mile Award, which is more than 126 times around the Earth – Les is also a fine painter and these are 3 of his paintings

. Recovery by Antonia Hirsch

click for larger image
. 16mm frame from Bruce Baillie's Castro Street (a significant influence on the film cycle's title work, Trains of Winnipeg) – read more info. here, here, and here, or help support his fund raising effort (scroll down) to commit his lifetime's work to DVD

. Film still from Edwin S. Porter's The Great Train Robbery (1903)

. Jon Voight in The Runaway Train

. Stan Brakhage 16mm stills, + synopses courtesy of Fred Camper (scroll down)

click for larger image
. William Turner, Rain, Steam and Speed

. Claude Monet, La Gare St. Lazare

. Vincent Van Gogh, Wagons de chemin de fer

. The Rotting Train by John Jacobsen

. visualorgasm.com train graffiti site

. Trains + Unions, Ever Wonder Why?: Doug Smith tells it like it is in this study of the history of rail worker safety.

. This is the Time To Be Derailed poetry from Jane Francis

. Emily Dickinson's The Railway Train

click for larger image
. Louis Lumiere's Entrée du train en gare de La Ciotat (first cinema screening in 1895)

. Neil Young's Southern Pacific

. Transcona lay offs

. Woodie Guthrie's The Farmer-Labor Train as in tune as ever he was: workers of the first & third world unite!

. Via Rail

. Via for the robber baron in you: unfortunately, in recent years they've segregated The Canadian (the train across Canada) into classes, i.e. coach passengers can no longer stroll the length of the train. Things aren't the same, as part of the trip's traditional charm had been local passengers who were going shorter distances chatting with dressed-down millionaires in the rear bar car. However, if you do have the funds, you can still hitch up your private car.

. Train art

Misplaced data records =
/*
Record 1
Computed, not measured: C38H36O5PtS6 as an isolated structure at a distorted geometry, with wB97M-V/def2-TZVPD.

Properties
- Net charge: -2
- ΔE to the lowest compared entry with this formula, charge and spin: 16.0 kcal/mol
- HOMO energy: -0.71 eV
- E_LUMO: 0.14227 Eh
- Max |F|: 2.4 eV/A

Last column: Mulliken charge in e.
CARTESIAN COORDINATES (ANGSTROEM)
Pt (-2.117386, 0.485754, 0.317268)  2.29
C (4.399116, 0.322978, 1.024870)  -1.96
C (3.563241, 0.016799, -0.212008)  1.22
C (4.421751, -0.311995, -1.424279)  -1.90
O (2.704160, -1.072463, 0.067809)  -0.34
C (1.345863, -0.675608, -0.153341)  -1.13
C (1.392388, 0.854229, -0.115908)  -1.43
O (2.743641, 1.114317, -0.526979)  -0.26
C (0.438576, 1.623123, -1.069461)  2.41
O (-0.825237, 1.770843, -0.542585)  -0.86
C (0.882977, 3.095314, -1.201472)  -0.44
C (1.683621, 3.744416, -0.269825)  -0.10
C (1.873777, 5.119202, -0.332795)  -0.88
C (1.251947, 5.873595, -1.313380)  -0.48
C (0.438796, 5.236598, -2.241225)  -0.82
C (0.262657, 3.864604, -2.184575)  -0.18
C (0.446384, 0.961945, -2.455342)  -0.42
C (1.554716, 1.044627, -3.295558)  -0.19
C (1.555873, 0.423598, -4.535592)  -0.97
C (0.439122, -0.283801, -4.963267)  -0.50
C (-0.675598, -0.351729, -4.140287)  -0.82
C (-0.673510, 0.268807, -2.898031)  -0.20
C (0.391689, -1.377748, 0.826360)  2.33
O (-0.888185, -1.197521, 0.334034)  -0.93
C (0.599864, -0.934589, 2.278700)  -0.25
C (-0.467820, -0.480901, 3.039308)  -0.30
C (-0.300275, -0.146678, 4.378249)  -0.96
C (0.936653, -0.280423, 4.984388)  -0.54
C (2.007989, -0.762173, 4.240390)  -1.06
C (1.837671, -1.092610, 2.906254)  -0.42
C (0.597596, -2.910607, 0.764186)  -0.48
C (1.025452, -3.550542, -0.397000)  -0.77
C (1.057699, -4.934767, -0.484480)  -0.84
C (0.655248, -5.718309, 0.588169)  -0.57
C (0.222503, -5.095515, 1.749323)  -0.98
C (0.198353, -3.710291, 1.832825)  -0.05
H (4.889185, -0.584101, 1.382237)  0.36
H (3.753722, 0.709009, 1.812770)  0.42
H (5.157715, 1.070220, 0.788083)  0.44
H (5.010266, -1.208785, -1.225872)  0.38
H (5.093234, 0.517146, -1.651131)  0.36
H (3.773508, -0.491033, -2.281092)  0.43
H (1.033888, -0.992649, -1.153190)  1.41
H (1.200246, 1.231066, 0.897207)  1.32
H (2.151360, 3.188405, 0.528653)  0.30
H (2.485349, 5.605170, 0.417986)  0.34
H (1.358272, 6.950701, -1.331098)  0.38
H (-0.087950, 5.818058, -2.988015)  0.34
H (-0.404646, 3.378323, -2.886381)  0.34
H (2.419231, 1.607151, -2.968298)  0.54
H (2.428036, 0.500269, -5.175490)  0.39
H (0.435129, -0.765685, -5.934632)  0.36
H (-1.557981, -0.889229, -4.468369)  0.41
H (-1.537584, 0.224486, -2.245089)  0.26
H (-1.445728, -0.371565, 2.589057)  0.83
H (-1.147767, 0.235601, 4.931994)  0.48
H (1.068334, -0.016125, 6.027114)  0.36
H (2.981577, -0.885219, 4.702538)  0.38
H (2.667550, -1.497359, 2.343793)  0.68
H (1.341708, -2.967723, -1.250227)  0.22
H (1.397462, -5.402458, -1.401383)  0.40
H (0.684276, -6.799657, 0.521230)  0.38
H (-0.098996, -5.687994, 2.598265)  0.42
H (-0.138670, -3.238753, 2.747876)  0.50
*/

. Train pictures

. Steam train art gallery – Max Jacquiard

. Raymond Carver, master story teller


